StringOvation Music Blog

How To Help A Fellow Student Or Colleague Who Is Being Harassed

Written by StringOvation Team | Sep 13, 2018

Victimization by bullying or harassment can have longstanding, negative effects - and the experience can even be life changing, or life ending for vulnerable teens. This is why it's so important to know the signs of someone who's being bullied or harassed and take action.

While we'll review the most common signs of harassment below, we recommend reading two recent posts delving deeper into the material:


The latter also includes an overview of teacher sexual misconduct, which has serious ramifications on students' wellbeing.

Investigate Further if You Notice Signs of Harassment

The first step in helping a fellow student or colleague being harassed is to recognize the signs. While some individuals report harassment right away, many do not because they fear the negative ramifications, or they believe they are powerless and somehow deserving of the disrespectful treatment. Always take a student or colleague seriously if they claim they're being bullied or harassed. It's very rare that people make false accusations about harassment, and the experience of not being believed can be as damaging as the harassment itself.

Common signs of harassment, bullying, or sexual misconduct include:

  • Changes in eating habits - often lack of appetite due to stress and depression OR overeating as a soothing mechanism.
  • A notable change in study habits and grades
  • Poor sleep habits, insomnia and/or scary dreams
  • Unwillingness to attend school or a favorite activity
  • Lack of interest in something they formerly loved (this may indicate a particular coach, teacher, instructor, etc., is the source of harassment)
  • Depression
  • Social withdrawal

Misplaced crystal structures
____________
No. 1
Here is Li2MnP2O7 after structural relaxation from Materials Project. Energies are from GGA+U.

Cell: 7.745 7.745 8.009 Å, 115.05 115.05 42.93°
Fractional positions:
Li: 0.074 0.379 0.307
Li: 0.379 0.074 0.807
Li: 0.621 0.926 0.193
Li: 0.926 0.621 0.693
Mn: 0.000 0.000 0.000
Mn: 0.000 0.000 0.500
P: 0.247 0.524 0.142
P: 0.476 0.753 0.358
P: 0.524 0.247 0.642
P: 0.753 0.476 0.858
O: 0.061 0.693 0.282
O: 0.118 0.653 0.973
O: 0.248 0.364 0.586
O: 0.307 0.939 0.218
O: 0.347 0.882 0.527
O: 0.364 0.248 0.086
O: 0.491 0.509 0.250
O: 0.509 0.491 0.750
O: 0.636 0.752 0.914
O: 0.653 0.118 0.473
O: 0.693 0.061 0.782
O: 0.752 0.636 0.414
O: 0.882 0.347 0.027
O: 0.939 0.307 0.718

Calculated values
Relative energy among the computed polymorphs: 0.78 eV per formula unit
Crystal system: monoclinic
Energy of formation: -2606 meV/atom
Total magnetic moment: 10.00 Bohr magnetons per cell
Symmetry: No. 15

=====

No. 2
Here is Al9Fe2Si4HO24 after structural relaxation from Materials Project. Energies are from GGA+U.

Cell: 9.269 9.269 5.782 Å, 90.44 90.44 130.23°
Fractional positions:
Al: 0.000 0.000 0.000
Al: 0.144 0.318 0.735
Al: 0.318 0.144 0.735
Al: 0.325 0.675 0.500
Al: 0.328 0.672 0.000
Al: 0.672 0.328 0.000
Al: 0.675 0.325 0.500
Al: 0.682 0.856 0.265
Al: 0.856 0.682 0.265
Fe: 0.361 0.361 0.266
Fe: 0.639 0.639 0.734
Si: 0.032 0.697 0.761
Si: 0.303 0.968 0.239
Si: 0.697 0.032 0.761
Si: 0.968 0.303 0.239
H: 0.000 0.000 0.500
O: 0.089 0.905 0.780
O: 0.093 0.413 0.478
O: 0.095 0.911 0.220
O: 0.099 0.422 0.013
O: 0.179 0.179 0.528
O: 0.229 0.726 0.751
O: 0.230 0.230 0.954
O: 0.274 0.771 0.249
O: 0.375 0.570 0.743
O: 0.413 0.093 0.478
O: 0.422 0.099 0.013
O: 0.430 0.625 0.257
O: 0.570 0.375 0.743
O: 0.578 0.901 0.987
O: 0.587 0.907 0.522
O: 0.625 0.430 0.257
O: 0.726 0.229 0.751
O: 0.770 0.770 0.046
O: 0.771 0.274 0.249
O: 0.821 0.821 0.472
O: 0.901 0.578 0.987
O: 0.905 0.089 0.780
O: 0.907 0.587 0.522
O: 0.911 0.095 0.220

Calculated values
Crystal system: monoclinic
Energy of formation: -3063 meV/atom
Total magnetic moment: 8.00 Bohr magnetons per cell
Symmetry: No. 12

=====

No. 3
Here is MgFe4H4O8 after structural relaxation from Materials Project. Energies are from GGA+U.

Cell: 8.056 8.056 10.851 Å, 130.97 130.97 22.15°
Fractional positions:
Mg: 0.000 0.000 0.000
Fe: 0.253 0.063 0.324
Fe: 0.366 0.333 0.011
Fe: 0.667 0.634 0.989
Fe: 0.937 0.747 0.676
H: 0.342 0.311 0.242
H: 0.517 0.308 0.571
H: 0.689 0.658 0.758
H: 0.692 0.483 0.429
O: 0.067 0.028 0.866
O: 0.296 0.262 0.122
O: 0.391 0.360 0.852
O: 0.449 0.229 0.541
O: 0.640 0.609 0.148
O: 0.738 0.704 0.878
O: 0.771 0.551 0.459
O: 0.972 0.933 0.134

Calculated values
Relative energy among the computed polymorphs: 0.51 eV per formula unit
Crystal system: monoclinic
Energy of formation: -1549 meV/atom
Total magnetic moment: 18.00 Bohr magnetons per cell
Symmetry: No. 5

=====

No. 4
Here is Mg2V2Si3O12 after structural relaxation from Materials Project. Energies are from GGA+U.
____________
The crystal structures stop here

Regardless of whether these signs indicate harassment or another, emotional upset, they should never be ignored.

Take Action to Support and Facilitate the Situation

Helping a friend or colleague through the situation is not always easy, but your assistance provides invaluable light at the end of the tunnel.

Provide reassurance

Often, victims of bullying believe they are somehow at fault or deserving of the poor treatment they're receiving. This is not the case, but it requires consistent, clear reassurance and support from people like you to stop those vicious thought patterns. If you are a student yourself, enlist the help of a trusted adult - parent, teacher, a school counselor, etc.

If you are an adult supporting a colleague, recommend the assistance of a therapist or counselor, who can be instrumental in providing additional support and advice and who will help the victim take methodical action.

Go at the victim's pace

Chronic harassment is traumatizing, and victims may not be as charged to take action as you are, especially if they're scared or depressed. Unless illegal activities are taking place (physical or sexual abuse, etc.) be respectful of the victim's pace - providing unfailing moral and practical support as requested. However, if you suspect the victim isn't taking action over a reasonable period and is still being victimized, it's important to reach out to authorities.

Document the incidences

The more accurate documentation the student or colleague can provide the better when it comes to seeking punitive action against the perpetrator. If this is a student bullying another student, a simple accounting to a teacher, staff or administrator may suffice. If not, or if this is a workplace situation, written and/or recorded documentation is best.

Help your friend or colleague go back and create a timeline of sorts, outlining the incidences as clearly as possible, using specifics around dates, words, actions, location(s), etc. Ultimately, a clearly written format is best, but making a recording and documenting prescient points in written form can be helpful.

Report it

Regardless of whether the victim is a child or adult, it's imperative that you report the incident - or incidences - to appropriate authorities if the victim is paralyzed by fear or denial and can't take action him/herself. Reports may be made to parents, administrators, school counselors or even the police - depending on the nature of the harassment.

Sometimes, victims are reticent to receive any additional attention - or may even fear the perpetrator - so they'll beg you not to tell anyone.  Again, if no illegal activities are taking place and it feels like your emotional support is enough to help them weather the storm so they can eventually take action themselves, that's fine. If the bullying continues, your thoughtful action may be required.

Data records that have nothing to do with the page >
1.
The following is a r2SCAN calculation of crystalline Sr4Ir at its relaxed geometry, from the Materials Project database.

Values from the calculation:
Calculated volume, Å³ per atom: 48.7
Space-group type: Fd-3m
E_form, kJ/mol of atoms: 18.6

abc: 8.8334 8.8334 8.8334
angles: 60.00 60.00 60.00
Element x y z (fractional)
1 Sr 0.6232 0.6232 0.6232
2 Sr 0.1304 0.6232 0.6232
3 Sr 0.6232 0.1304 0.6232
4 Sr 0.6196 0.1268 0.1268
5 Sr 0.1268 0.1268 0.1268
6 Sr 0.6232 0.6232 0.1304
7 Sr 0.1268 0.6196 0.1268
8 Sr 0.1268 0.1268 0.6196
9 Ir 0.0000 0.0000 0.0000
10 Ir 0.7500 0.7500 0.7500


2.
The following is a r2SCAN calculation of crystalline U2C3 at its relaxed geometry, from the Materials Project database.

Values from the calculation:
Calculated volume, Å³ per atom: 13.2
Space-group type: I-43d
E_form, kJ/mol of atoms: -28.0

abc: 7.0006 7.0006 7.0006
angles: 109.47 109.47 109.47
Element x y z (fractional)
1 U 0.5980 0.5980 0.5980
2 U 0.4020 0.5000 0.0000
3 U 0.5000 0.0000 0.4020
4 U 0.0000 0.4020 0.5000
5 U 0.5000 0.0000 0.9020
6 U 0.0000 0.9020 0.5000
7 U 0.9020 0.5000 0.0000
8 U 0.0980 0.0980 0.0980
9 C 0.7500 0.7861 0.0361
10 C 0.7500 0.9639 0.2139
11 C 0.2861 0.2500 0.5361
12 C 0.5361 0.2861 0.2500
13 C 0.2139 0.7500 0.9639
14 C 0.9639 0.2139 0.7500
15 C 0.2500 0.7139 0.4639
16 C 0.7139 0.4639 0.2500
17 C 0.2500 0.5361 0.2861
18 C 0.4639 0.2500 0.7139
19 C 0.0361 0.7500 0.7861
20 C 0.7861 0.0361 0.7500


3.
The following is a r2SCAN calculation of crystalline Na2Mn2O3 at its relaxed geometry, from the Materials Project database.

Values from the calculation:
Calculated volume, Å³ per atom: 13.6
Space-group type: P2_12_12_1
E_form, kJ/mol of atoms: -169.2

abc: 6.3501 6.3529 9.4214
angles: 90.00 90.00 90.00
Element x y z (fractional)
1 Na 0.5232 0.7359 0.3622
2 Na 0.4768 0.2641 0.8624
3 Na 0.2359 0.9773 0.6100
4 Na 0.7642 0.0227 0.1100
5 Na 0.0231 0.7641 0.8876
6 Na 0.9768 0.2359 0.3878
7 Na 0.2641 0.4773 0.1400
8 Na 0.7358 0.5227 0.6400
9 Mn 0.7411 0.0399 0.6344
10 Mn 0.7589 0.5400 0.1157
11 Mn 0.2589 0.9600 0.1343
12 Mn 0.2411 0.4600 0.6157
13 Mn 0.4601 0.2415 0.3845
14 Mn 0.9601 0.2585 0.8655
15 Mn 0.5398 0.7585 0.8845
16 Mn 0.0399 0.7414 0.3655
17 O 0.1883 0.1893 0.0005
18 O 0.6884 0.3108 0.2495
19 O 0.8117 0.8107 0.5005
20 O 0.3118 0.6893 0.7494
21 O 0.7448 0.0054 0.8551
22 O 0.2552 0.9946 0.3551
23 O 0.2448 0.4946 0.3949
24 O 0.9943 0.2550 0.6447
25 O 0.5057 0.7550 0.1053
26 O 0.4943 0.2449 0.6053
27 O 0.7552 0.5055 0.8949
28 O 0.0056 0.7449 0.1447


Computed, not measured: DyFe2O4 after structural relaxation at the PBE with a Hubbard U level of DFT.

POSCAR file:
```
DyFe2O4
1.0
1.773 1.024 8.385
-1.773 1.024 8.385
0.000 -2.048 8.385
Dy Fe O
1 2 4
Direct
0.000 0.000 0.000
0.213 0.213 0.213
0.787 0.787 0.787
0.128 0.128 0.128
0.292 0.292 0.292
0.708 0.708 0.708
0.872 0.872 0.872
```

Formation energy, eV/f.u.: -16.5


# 1

Seek support for yourself

Depending on the complexity of the situation (sometimes adult harassers are beloved and celebrated members of the staff until the truth is revealed) it can be difficult to provide unfailing emotional support because it's draining, especially when the victim is someone you care about. Seek emotional support yourself and find time to do the things you love to remain strong.

Visit for more information and helpful resources.